_Entries_
/*
one | Computed, not measured: crystalline Li3Fe2P3O12 at its relaxed geometry at the PBE+U level of DFT.

Summary:
spin magnetization: 10.0 μB per formula unit
ρ: 3.08 g cm⁻³

Lattice parameters (Å, degrees): 8.5032 8.7561 14.7200 90.00 124.76 90.00
Closest atoms and distances in Å follow each position.
Fractional positions:
1 Li 0.0039 0.2194 0.3217  4 O 2.00-2.09
2 Li 0.0039 0.2806 0.8217  4 O 2.00-2.09
3 Li 0.2793 0.5104 0.8443  4 O 1.98-2.06
4 Li 0.2793 0.9896 0.3443  4 O 1.98-2.06
5 Li 0.3904 0.5848 0.3091  4 O 1.95-2.05
6 Li 0.3904 0.9152 0.8091  4 O 1.95-2.05
7 Li 0.6096 0.0848 0.1909  4 O 1.95-2.05
8 Li 0.6096 0.4152 0.6909  4 O 1.95-2.05
9 Li 0.7207 0.0104 0.6557  4 O 1.98-2.06
10 Li 0.7207 0.4896 0.1557  4 O 1.98-2.06
11 Li 0.9961 0.7194 0.1783  4 O 2.00-2.09
12 Li 0.9961 0.7806 0.6783  4 O 2.00-2.09
13 Fe 0.1375 0.5371 0.3937  6 O 1.90-2.10
14 Fe 0.1375 0.9629 0.8937  6 O 1.90-2.10
15 Fe 0.3456 0.5250 0.1035  6 O 1.99-2.14
16 Fe 0.3456 0.9750 0.6035  6 O 1.99-2.14
17 Fe 0.6544 0.0250 0.3965  6 O 1.99-2.14
18 Fe 0.6544 0.4750 0.8965  6 O 1.99-2.14
19 Fe 0.8625 0.0371 0.1063  6 O 1.90-2.10
20 Fe 0.8625 0.4629 0.6063  6 O 1.90-2.10
21 P 0.0340 0.1093 0.6484  4 O 1.53-1.57
22 P 0.0340 0.3907 0.1484  4 O 1.53-1.57
23 P 0.2641 0.6197 0.6517  4 O 1.53-1.58
24 P 0.2641 0.8803 0.1517  4 O 1.53-1.58
25 P 0.4512 0.2493 0.9916  4 O 1.54-1.56
26 P 0.4512 0.2507 0.4916  4 O 1.54-1.56
27 P 0.5488 0.7493 0.5084  4 O 1.54-1.56
28 P 0.5488 0.7507 0.0084  4 O 1.54-1.56
29 P 0.7359 0.1197 0.8483  4 O 1.53-1.58
30 P 0.7359 0.3803 0.3483  4 O 1.53-1.58
31 P 0.9660 0.6093 0.8516  4 O 1.53-1.57
32 P 0.9660 0.8907 0.3516  4 O 1.53-1.57
33 O 0.0160 0.2313 0.1877  1 P 1.55
34 O 0.0160 0.2687 0.6877  1 P 1.55
35 O 0.1200 0.5069 0.2470  1 P 1.57
36 O 0.1200 0.9931 0.7470  1 P 1.57
37 O 0.1246 0.5786 0.6864  1 P 1.58
38 O 0.1246 0.9214 0.1864  1 P 1.58
39 O 0.1563 0.1097 0.6026  1 P 1.53
40 O 0.1563 0.3903 0.1026  1 P 1.53
41 O 0.1685 0.5838 0.5295  1 P 1.53
42 O 0.1685 0.9162 0.0295  1 P 1.53
43 O 0.1729 0.5473 0.9375  1 P 1.57
44 O 0.1729 0.9527 0.4375  1 P 1.57
45 O 0.2498 0.1775 0.9364  1 P 1.55
46 O 0.2498 0.3225 0.4364  1 P 1.55
47 O 0.2916 0.7038 0.1693  1 P 1.56
48 O 0.2916 0.7962 0.6693  1 P 1.56
49 O 0.3914 0.6274 0.4433  1 P 1.54
50 O 0.3914 0.8726 0.9433  1 P 1.54
51 O 0.4518 0.5285 0.7252  1 P 1.54
52 O 0.4518 0.9715 0.2252  1 P 1.54
53 O 0.4587 0.1672 0.4016  1 P 1.55
54 O 0.4587 0.3328 0.9016  1 P 1.55
55 O 0.4865 0.1378 0.5832  1 P 1.56
56 O 0.4865 0.3622 0.0832  1 P 1.56
57 O 0.5135 0.6378 0.9168  1 P 1.56
58 O 0.5135 0.8622 0.4168  1 P 1.56
59 O 0.5413 0.6672 0.0984  1 P 1.55
60 O 0.5413 0.8328 0.5984  1 P 1.55
61 O 0.5482 0.0285 0.7748  1 P 1.54
62 O 0.5482 0.4715 0.2748  1 P 1.54
63 O 0.6086 0.1274 0.0567  1 P 1.54
64 O 0.6086 0.3726 0.5567  1 P 1.54
65 O 0.7084 0.2038 0.3307  1 P 1.56
66 O 0.7084 0.2962 0.8307  1 P 1.56
67 O 0.7502 0.6775 0.5636  1 P 1.55
68 O 0.7502 0.8225 0.0636  1 P 1.55
69 O 0.8271 0.0473 0.5625  1 P 1.57
70 O 0.8271 0.4527 0.0625  1 P 1.57
71 O 0.8315 0.0838 0.9705  1 P 1.53
72 O 0.8315 0.4162 0.4705  1 P 1.53
73 O 0.8437 0.6097 0.8974  1 P 1.53
74 O 0.8437 0.8903 0.3974  1 P 1.53
75 O 0.8754 0.0786 0.8136  1 P 1.58
76 O 0.8754 0.4214 0.3136  1 P 1.58
77 O 0.8800 0.0069 0.2530  1 P 1.57
78 O 0.8800 0.4931 0.7530  1 P 1.57
79 O 0.9840 0.7313 0.3123  1 P 1.55
80 O 0.9840 0.7687 0.8123  1 P 1.55

two | Computed, not measured: crystalline Li3Fe2P3O12 at its relaxed geometry at the PBE+U level of DFT.

Summary:
spin magnetization: 10.0 μB per formula unit
ρ: 2.98 g cm⁻³

Lattice parameters (Å, degrees): 9.7820 9.7820 9.7808 93.45 93.45 86.45
Closest atoms and distances in Å follow each position.
Fractional positions:
1 Li 0.0826 0.6481 0.3993  2 O 1.91-2.00
2 Li 0.0906 0.3927 0.2568  3 O 2.05-2.16
3 Li 0.1226 0.1226 0.0971  1 O 1.89
4 Li 0.2984 0.3932 0.5293  2 O 1.95-2.08
5 Li 0.3519 0.9174 0.6007  2 O 1.91-2.00
6 Li 0.3909 0.2202 0.2672  1 O 1.92
7 Li 0.6068 0.7016 0.4707  2 O 1.95-2.08
*/

_To do_
It remains to find the line further up that holds "0.7207 0.0104", then reproduce that line and all lines after it there.

_Completed_
9 Li 0.7207 0.0104 0.6557  4 O 1.98-2.06
10 Li 0.7207 0.4896 0.1557  4 O 1.98-2.06
11 Li 0.9961 0.7194 0.1783  4 O 2.00-2.09
12 Li 0.9961 0.7806 0.6783  4 O 2.00-2.09
13 Fe 0.1375 0.5371 0.3937  6 O 1.90-2.10
14 Fe 0.1375 0.9629 0.8937  6 O 1.90-2.10
15 Fe 0.3456 0.5250 0.1035  6 O 1.99-2.14
16 Fe 0.3456 0.9750 0.6035  6 O 1.99-2.14
17 Fe 0.6544 0.0250 0.3965  6 O 1.99-2.14
18 Fe 0.6544 0.4750 0.8965  6 O 1.99-2.14
19 Fe 0.8625 0.0371 0.1063  6 O 1.90-2.10
20 Fe 0.8625 0.4629 0.6063  6 O 1.90-2.10
21 P 0.0340 0.1093 0.6484  4 O 1.53-1.57
22 P 0.0340 0.3907 0.1484  4 O 1.53-1.57
23 P 0.2641 0.6197 0.6517  4 O 1.53-1.58
24 P 0.2641 0.8803 0.1517  4 O 1.53-1.58
25 P 0.4512 0.2493 0.9916  4 O 1.54-1.56
26 P 0.4512 0.2507 0.4916  4 O 1.54-1.56
27 P 0.5488 0.7493 0.5084  4 O 1.54-1.56
28 P 0.5488 0.7507 0.0084  4 O 1.54-1.56
29 P 0.7359 0.1197 0.8483  4 O 1.53-1.58
30 P 0.7359 0.3803 0.3483  4 O 1.53-1.58
31 P 0.9660 0.6093 0.8516  4 O 1.53-1.57
32 P 0.9660 0.8907 0.3516  4 O 1.53-1.57
33 O 0.0160 0.2313 0.1877  1 P 1.55
34 O 0.0160 0.2687 0.6877  1 P 1.55
35 O 0.1200 0.5069 0.2470  1 P 1.57
36 O 0.1200 0.9931 0.7470  1 P 1.57
37 O 0.1246 0.5786 0.6864  1 P 1.58
38 O 0.1246 0.9214 0.1864  1 P 1.58
39 O 0.1563 0.1097 0.6026  1 P 1.53
40 O 0.1563 0.3903 0.1026  1 P 1.53
41 O 0.1685 0.5838 0.5295  1 P 1.53
42 O 0.1685 0.9162 0.0295  1 P 1.53
43 O 0.1729 0.5473 0.9375  1 P 1.57
44 O 0.1729 0.9527 0.4375  1 P 1.57
45 O 0.2498 0.1775 0.9364  1 P 1.55
46 O 0.2498 0.3225 0.4364  1 P 1.55
47 O 0.2916 0.7038 0.1693  1 P 1.56
48 O 0.2916 0.7962 0.6693  1 P 1.56
49 O 0.3914 0.6274 0.4433  1 P 1.54
50 O 0.3914 0.8726 0.9433  1 P 1.54
51 O 0.4518 0.5285 0.7252  1 P 1.54
52 O 0.4518 0.9715 0.2252  1 P 1.54
53 O 0.4587 0.1672 0.4016  1 P 1.55
54 O 0.4587 0.3328 0.9016  1 P 1.55
55 O 0.4865 0.1378 0.5832  1 P 1.56
56 O 0.4865 0.3622 0.0832  1 P 1.56
57 O 0.5135 0.6378 0.9168  1 P 1.56
58 O 0.5135 0.8622 0.4168  1 P 1.56
59 O 0.5413 0.6672 0.0984  1 P 1.55
60 O 0.5413 0.8328 0.5984  1 P 1.55
61 O 0.5482 0.0285 0.7748  1 P 1.54
62 O 0.5482 0.4715 0.2748  1 P 1.54
63 O 0.6086 0.1274 0.0567  1 P 1.54
64 O 0.6086 0.3726 0.5567  1 P 1.54
65 O 0.7084 0.2038 0.3307  1 P 1.56
66 O 0.7084 0.2962 0.8307  1 P 1.56
67 O 0.7502 0.6775 0.5636  1 P 1.55
68 O 0.7502 0.8225 0.0636  1 P 1.55
69 O 0.8271 0.0473 0.5625  1 P 1.57
70 O 0.8271 0.4527 0.0625  1 P 1.57
71 O 0.8315 0.0838 0.9705  1 P 1.53
72 O 0.8315 0.4162 0.4705  1 P 1.53
73 O 0.8437 0.6097 0.8974  1 P 1.53
74 O 0.8437 0.8903 0.3974  1 P 1.53
75 O 0.8754 0.0786 0.8136  1 P 1.58
76 O 0.8754 0.4214 0.3136  1 P 1.58
77 O 0.8800 0.0069 0.2530  1 P 1.57
78 O 0.8800 0.4931 0.7530  1 P 1.57
79 O 0.9840 0.7313 0.3123  1 P 1.55
80 O 0.9840 0.7687 0.8123  1 P 1.55

two | Computed, not measured: crystalline Li3Fe2P3O12 at its relaxed geometry at the PBE+U level of DFT.

Summary:
spin magnetization: 10.0 μB per formula unit
ρ: 2.98 g cm⁻³

Lattice parameters (Å, degrees): 9.7820 9.7820 9.7808 93.45 93.45 86.45
Closest atoms and distances in Å follow each position.
Fractional positions:
1 Li 0.0826 0.6481 0.3993  2 O 1.91-2.00
2 Li 0.0906 0.3927 0.2568  3 O 2.05-2.16
3 Li 0.1226 0.1226 0.0971  1 O 1.89
4 Li 0.2984 0.3932 0.5293  2 O 1.95-2.08
5 Li 0.3519 0.9174 0.6007  2 O 1.91-2.00
6 Li 0.3909 0.2202 0.2672  1 O 1.92
7 Li 0.6068 0.7016 0.4707  2 O 1.95-2.08